static void ViewAlbums(bool allAlbums) { var context = new BrokenRecordLabelContext(); if (allAlbums) { foreach (var album in context.Albums.Include(album => album.Band).OrderBy(album => album.ReleaseDate)) { Console.Write($"\n{album.Title}, created by {album.Band.Name} "); if (album.IsExplicit) { Console.WriteLine("is explicit"); } else { Console.WriteLine(" is not explicit"); } Console.WriteLine($"and was released on {album.ReleaseDate}"); } } else { var bandsAlbumsToViewName = GetDetails("name", "band", "that you'd like to see all albums for"); foreach (var song in context.Songs.Include(song => song.Album).ThenInclude(album => album.Band).Where(song => song.Album.Band.Name == bandsAlbumsToViewName)) { Console.WriteLine($"\nTrack {song.TrackNumber} - {song.Title} - {song.Duration} long, is found on {song.Album.Title}"); } } }
static void AddAlbum() { var context = new BrokenRecordLabelContext(); string moreAlbumsToAdd; do { var newAlbum = new Album(); newAlbum.Title = GetDetails("title", "album", "add"); string isExplicit; do { Console.Write($"Is {newAlbum.Title} explicit? 'YES' or 'NO': "); isExplicit = Console.ReadLine().ToUpper().Trim(); } while (isExplicit != "YES" && isExplicit != "NO"); if (isExplicit == "YES") { newAlbum.IsExplicit = true; } else { newAlbum.IsExplicit = false; } newAlbum.ReleaseDate = GetReleaseDate(); Console.Write($"\nWho's the band that made {newAlbum.Title}? "); var albumBand = context.Bands.FirstOrDefault(band => band.Name == Console.ReadLine()); newAlbum.BandId = albumBand.Id; context.Albums.Add(newAlbum); Console.Write("\nWould you like to add another album? 'YES' or 'NO': "); moreAlbumsToAdd = Console.ReadLine().ToUpper().Trim(); } while (moreAlbumsToAdd == "YES"); context.SaveChanges(); }
**Unrelated to this article: quantum chemistry results:**
<<<
(1)
>>>
static void SignUnsign(bool sign) { var context = new BrokenRecordLabelContext(); var bandToSignOrUnsignsName = GetDetails("name", "band", ""); var bandToSignOrUnsign = context.Bands.FirstOrDefault(band => band.Name == bandToSignOrUnsignsName); if (sign) { bandToSignOrUnsign.IsSigned = true; Console.WriteLine($"{bandToSignOrUnsign.Name} were successfully signed!"); } else { bandToSignOrUnsign.IsSigned = false; Console.WriteLine($"\n{bandToSignOrUnsign.Name} were successfully released!"); } context.SaveChanges(); }
Someone pasted quantum chemistry results at this point
- - -
{
  "formula": "C4H3Br3S",
  "method": "ωB97M-V/def2-TZVPD",
  "total_energy_ha": -8274.3838,
  "e_homo_ev": -9.23,
  "spin_multiplicity": 1,
  "e_above_lowest_kcal_mol": 19.9,
  "symbols": ["Br", "C", "Br", "C", "S", "C", "H", "H", "Br", "C", "H"],
  "xyz": [[2.1200, -1.0665, 2.0493], [0.2681, -0.9755, -0.2416], [-0.9442, -0.4857, 2.2336], [-0.2696, -0.1367, -1.2137], [0.8562, 1.5707, 0.5384], [-0.4840, 1.2618, -0.5953], [-0.4325, 2.2062, -1.1473], [-1.4155, 1.2790, 0.0093], [0.4380, -2.8659, -0.5965], [0.6373, -0.4473, 1.0977], [-0.7740, -0.3400, -2.1340]],
  "atomic_forces_ev_per_a": [[0.546, -0.288, -0.107], [-0.870, 0.215, -3.228], [-0.098, -0.226, 0.121], [0.729, 0.299, 3.787], [0.245, -2.955, 1.443], [0.043, 0.278, 0.359], [-0.427, -0.661, -0.929], [0.259, -0.123, -0.525], [-0.087, 0.841, 0.325], [-0.547, 3.365, -0.891], [0.210, -0.745, -0.354]]
}

~~~~~

{"formula": "C4H6S", "method": "the ωB97M-V functional and the def2-TZVPD basis", "e_lumo_ev": -0.36, "e_tot_ev": -15078.558, "homo_ha": -0.31565, "de_lowest_kj_mol": 119.2, "species": ["C", "C", "C", "C", "S", "H", "H", "H", "H", "H", "H"], "coordinates": [[-1.68883, -0.31849, -0.23908], [-0.41080, 0.01216, 0.38759], [0.65969, 0.30636, -0.32375], [1.94045, 0.42771, 0.33314], [3.31599, 0.02266, -0.35227], [-1.72563, -1.31173, -0.28845], [-1.62458, 0.01792, -1.31256], [-2.66121, -0.05515, 0.13722], [-0.35847, -0.03548, 1.48027], [0.73505, 0.50977, -1.33289], [1.81836, 0.42425, 1.51078]], "atomic_forces_ev_per_a": [[-0.10, 3.18, -2.37], [-0.74, 0.60, 1.04], [1.03, 0.92, 1.88], [-1.01, -1.44, 3.20], [1.15, 0.35, -0.43], [-0.24, -4.43, -0.30], [-0.34, -0.26, 0.93], [-0.02, 0.79, 0.75], [0.26, -0.08, -0.30], [-0.55, -0.10, -2.23], [0.55, 0.48, -2.17]]}
- - -
static void ViewBands(bool allBands, bool isSigned) { var context = new BrokenRecordLabelContext(); if (allBands) { foreach (var band in context.Bands) { Console.WriteLine($"\n{band.Name}, with {band.NumberOfMembers} members, from {band.CountryOfOrigin}, has a {band.Style} style"); Console.WriteLine($"and can be reached at {band.Website} or through {band.ContactName} at {band.ContactPhoneNumber}"); } } else { foreach (var band in context.Bands.Where(band => band.IsSigned == isSigned)) { Console.WriteLine($"\n{band.Name}, with {band.NumberOfMembers} members, from {band.CountryOfOrigin}, has a {band.Style} style"); Console.WriteLine($"and can be reached at {band.Website} through {band.ContactName} at {band.ContactPhoneNumber}"); } } }
static void AddSong() { var context = new BrokenRecordLabelContext(); string moreSongsToAdd; do { var newSong = new Song(); newSong.Title = GetDetails("title", "song", "add"); Console.Write("\nWhat is the song's duration? Proper format is 'hr:mn:sc': "); newSong.Duration = Console.ReadLine(); Console.Write($"\nWho's the album that contains {newSong.Title}? "); var songAlbum = context.Albums.FirstOrDefault(album => album.Title == Console.ReadLine()); var allSongsOnAlbum = context.Songs.Where(song => song.AlbumId == songAlbum.Id); newSong.AlbumId = songAlbum.Id; newSong.TrackNumber = allSongsOnAlbum.Count() + 1; context.Songs.Add(newSong); Console.Write("\nWould you like to add another album? 'YES' or 'NO': "); moreSongsToAdd = Console.ReadLine().ToUpper().Trim(); } while (moreSongsToAdd == "YES"); context.SaveChanges(); }
static void AddBand() { var context = new BrokenRecordLabelContext(); string moreBandsToAdd; do { var newBand = new Band(); newBand.Name = GetDetails("name", "band", "add"); newBand.NumberOfMembers = GetMemberAmount(); newBand.CountryOfOrigin = GetDetails("country of origin", newBand.Name, ""); newBand.Website = GetDetails("website", newBand.Name, ""); newBand.Style = GetDetails("style", newBand.Name, ""); string isSigned; do { Console.Write($"Is {newBand.Name} signed? 'YES' or 'NO': "); isSigned = Console.ReadLine().ToUpper().Trim(); } while (isSigned != "YES" && isSigned != "NO"); if (isSigned == "YES") { newBand.IsSigned = true; } else { newBand.IsSigned = false; } newBand.ContactName = GetDetails("contact name", newBand.Name, ""); Console.Write($"What is {newBand.ContactName}'s number? Numbers only please: "); newBand.ContactPhoneNumber = GetContactPhoneNumber(); context.Bands.Add(newBand); Console.Write("\nWould you like to add another band? 'YES' or 'NO': "); moreBandsToAdd = Console.ReadLine().ToUpper().Trim(); } while (moreBandsToAdd == "YES"); context.SaveChanges(); }
• Molecular data, as found in the file:
- - -
Density functional theory data (the ωB97M-V functional and the def2-TZVPD basis) for an isolated molecule of C3H2N2O2 in a non-equilibrium geometry.

Output
SMILES string: O=C1C=NNC1=O
Energy relative to the best compared isomer or geometry (same formula, charge and spin), kJ/mol: 111.9
Orbital gap, eV: 8.477
Maximum force, eV/Å: 1.2

Last column: Mulliken charge in e.
Cartesian coordinates (Å):
O (-1.4509, 1.7663, 0.0053)  -0.480
C (-0.6212, 0.8899, -0.0189)  0.752
C (0.8757, 0.9558, 0.0015)  -0.295
N (1.3939, -0.2229, 0.0040)  -0.540
N (0.4027, -1.1698, -0.0109)  0.143
C (-0.8709, -0.6541, -0.0224)  0.265
O (-1.9175, -1.2496, 0.0076)  -0.521
H (1.5061, 1.8339, -0.0020)  0.435
H (0.6820, -2.1495, 0.0359)  0.240

---

Density functional theory data (the ωB97M-V functional and the def2-TZVPD basis) for a cluster of 2 separate species, C2H8N2O2 in total.

Output
SMILES string: CNC(N)=O.O
Energy relative to the best compared isomer or geometry (same formula, charge and spin), kJ/mol: 34.0
Orbital gap, eV: 10.430
Maximum force, eV/Å: 0.8

Last column: Mulliken charge in e.
Cartesian coordinates (Å):
C (-0.1370, 0.9865, 1.3326)  -0.749
N (0.3305, 0.7023, -0.0097)  -0.307
C (-0.5460, 0.3106, -1.0157)  0.584
N (-0.0670, 0.5381, -2.2692)  -0.403
O (-1.6700, -0.1051, -0.8090)  -0.603
H (-0.0027, 0.1967, 2.0672)  0.217
H (-1.2050, 1.1727, 1.2349)  0.307
H (0.3445, 1.9010, 1.6646)  0.294
H (1.2848, 0.4141, -0.1569)  0.280
H (0.8664, 0.8867, -2.4329)  0.185
H (-0.6019, 0.2443, -3.0681)  0.225
O (0.6552, -2.6698, 0.9637)  -0.659
H (0.1905, -1.9188, 0.5814)  0.324
H (0.5577, -2.6594, 1.9171)  0.304

---

Density functional theory data (the ωB97M-V functional and the def2-TZVPD basis) for a cluster of 2 separate species, CH5O2 in total in a non-equilibrium geometry.

Output
Total charge: -1
Energy relative to the best compared isomer or geometry (same formula, charge and spin), kJ/mol: 36.4
Orbital gap, eV: 7.954
Maximum force, eV/Å: 2.4

Last column: Mulliken charge in e.
Cartesian coordinates (Å):
C (-1.0005, 0.8143, -0.6007)  -0.436
O (-0.8098, -0.0984, 0.4218)  -0.781
H (-0.4038, 0.6977, -1.5263)  0.157
H (-2.1250, 0.6486, -0.8384)  0.124
H (-0.7359, 1.8645, -0.2392)  0.131
H (1.7986, -0.8277, -0.5642)  0.218
H (0.5138, -0.5654, 0.5085)  0.412
O (1.6792, -0.7395, 0.3612)  -0.825

---

Density functional theory data (the ωB97M-V functional and the def2-TZVPD basis) for the ion C2H6N3O2 with charge +1 in a non-equilibrium geometry.

Output
Total charge: +1
Energy relative to the best compared isomer or geometry (same formula, charge and spin), kJ/mol: 325.2
Orbital gap, eV: 8.434
Maximum force, eV/Å: 4.8

Last column: Mulliken charge in e.
Cartesian coordinates (Å):
C (0.1464, 0.5565, -0.8360)  0.468
C (-1.0257, -1.2614, 2.0188)  0.379
N (0.2826, -0.4640, 0.2279)  -0.223
N (-0.9482, 1.1546, -0.8889)  -0.572
N (1.3507, 0.8955, -1.3398)  -0.443
O (-0.7950, -0.4343, 1.0212)  -0.155
O (-2.1441, -1.1356, 2.5313)  -0.341
H (-0.5604, -2.1128, 2.4225)  0.449
- - -
• The article goes on:
static void Main(string[] args) { Banner(" Welcome to The Broken Records Label!"); var context = new BrokenRecordLabelContext(); var bands = context.Bands; var albums = context.Albums.Include(album => album.Band); var songs = context.Songs.Include(song => song.Album).ThenInclude(album => album.Band); var choice = Menu(); while (choice != "EXIT") { switch (choice) { case "ADD BAND": AddBand(); choice = Menu(); break; case "ADD ALBUM": AddAlbum(); choice = Menu(); break; case "ADD SONG": AddSong(); choice = Menu(); break; case "VIEW BANDS": ViewBands(true, false); choice = Menu(); break; case "VIEW SIGNED BANDS": ViewBands(false, true); choice = Menu(); break; case "VIEW UNSIGNED BANDS": ViewBands(false, false); choice = Menu(); break; case "VIEW ALBUMS": ViewAlbums(true); choice = Menu(); break; case "VIEW BANDS ALBUMS": ViewAlbums(false); choice = Menu(); break; case "SIGN BAND": SignUnsign(true); choice = Menu(); break; case "RELEASE BAND": SignUnsign(false); choice = Menu(); break; default: Console.WriteLine("\nThat's not a menu option, please try again!\n"); choice = Menu(); break; } } Banner("Thank you for using The Broken Records Label!"); }